Entries:
<<<
(1)
Material: Fe6OF11
Method: DFT, PBEsol
State: relaxed

## Properties
Excess energy over the best structure of this formula in the dataset (kJ/mol of formula units): 95
Raw formation energy (meV per atom): -1741

Lattice parameters (Å, degrees): 5.6381 5.6381 7.3540 70.56 70.56 74.54
Positions (direct):
Fe 0.0045 0.0045 0.4885
Fe 0.3323 0.3323 0.1779
F 0.5789 0.5789 0.6547
F 0.0241 0.6373 0.6817
F 0.7135 0.3167 0.9890
Fe 0.6332 0.6332 0.3545
F 0.6373 0.0241 0.6817
F 0.1002 0.1002 0.6937
F 0.8870 0.8870 0.3027
Fe 0.6733 0.6733 0.8402
Fe 0.3509 0.3509 0.6470
F 0.7671 0.7671 0.0297
F 0.3688 0.9483 0.3222
F 0.3167 0.7135 0.9890
Fe 0.0036 0.0036 0.9974
F 0.9483 0.3688 0.3222
O 0.4164 0.4164 0.3681
F 0.2439 0.2439 0.9598

=====

(2)
Material: Fe4OF7
Method: DFT, PBEsol
State: relaxed

## Properties
Excess energy over the best structure of this formula in the dataset (kJ/mol of formula units): 1
Raw formation energy (meV per atom): -1793

Lattice parameters (Å, degrees): 4.8447 5.7004 10.0742 92.66 90.00 90.00
Positions (direct):
Fe 0.2290 0.7329 0.7668
F 0.0371 0.2912 0.4252
F 0.5351 0.9624 0.8199
F 0.9457 0.0264 0.1785
F 0.0466 0.5140 0.1739
F 0.5533 0.7303 0.0828
Fe 0.2458 0.2314 0.2503
F 0.4649 0.9624 0.3199
Fe 0.2501 0.5350 0.9913
F 0.4467 0.7303 0.5828
O 0.0358 0.7899 0.9299
Fe 0.7499 0.5350 0.4913
F 0.4706 0.4555 0.8210
F 0.4526 0.2297 0.0696
Fe 0.7710 0.7329 0.2668
Fe 0.7626 0.0015 0.9909
F 0.0543 0.0264 0.6785
F 0.9629 0.2912 0.9252
O 0.9642 0.7899 0.4299
F 0.5294 0.4555 0.3210
Fe 0.7542 0.2314 0.7503
F 0.9534 0.5140 0.6739
Fe 0.2374 0.0015 0.4909
F 0.5474 0.2297 0.5696

=====

(3)
Material: Fe4OF7
Method: DFT, PBEsol
State: relaxed

## Properties
Excess energy over the best structure of this formula in the dataset (kJ/mol of formula units): 160
Raw formation energy (meV per atom): -1655

Lattice parameters (Å, degrees): 7.5871 5.7847 7.7328 90.00 119.38 90.00
Positions (direct):
F 0.1349 0.9189 0.9033
F 0.6768 0.4282 0.3536
Fe 0.5896 0.1546 0.1792
Fe 0.1909 0.2303 0.8642
Fe 0.1903 0.0799 0.3806
O 0.4619 0.3221 0.9238
F 0.2316 0.4189 0.0967
Fe 0.3268 0.7303 0.1358
F 0.8931 0.0372 0.2974
F 0.1069 0.5372 0.7026
F 0.7584 0.8652 0.5168
F 0.3232 0.9282 0.6464
Fe 0.4104 0.6546 0.8208
F 0.8651 0.4189 0.0967
F 0.1186 0.7771 0.2372
Fe 0.6732 0.2303 0.8642
F 0.4044 0.0372 0.2974
Fe 0.8097 0.5799 0.6194
F 0.8814 0.2771 0.7628
F 0.5956 0.5372 0.7026
F 0.2416 0.3652 0.4832
Fe 0.8091 0.7303 0.1358
O 0.5381 0.8221 0.0762
F 0.7684 0.9189 0.9033

=====

(4)
Material: FeOF
Method: DFT, PBEsol
State: relaxed

## Properties
Raw formation energy (meV per atom): -1545

Lattice parameters (Å, degrees): 5.7348 7.1147 7.1147 80.65 66.23 66.23
Positions (direct):
F 0.7751 0.4465 0.7496
F 0.7784 0.2504 0.4465
F 0.9716 0.2496 0.0535
Fe 0.0994 0.7388 0.7522
O 0.2746 0.2496 0.4589
O 0.4754 0.2504 0.0411
F 0.7788 0.9465 0.2496
F 0.2747 0.7504 0.9465
F 0.9712 0.5535 0.2504
Fe 0.6017 0.7478 0.2388
Fe 0.6506 0.7612 0.7478
O 0.4758 0.5411 0.2496
Fe 0.5904 0.2612 0.2478
O 0.4835 0.0411 0.7496
Fe 0.5882 0.2522 0.7612
F 0.4753 0.7496 0.5535
O 0.9831 0.7504 0.5411
Fe 0.1596 0.2388 0.2522
F 0.9749 0.0535 0.7504
O 0.2742 0.9589 0.2504
Fe 0.1618 0.2478 0.7388
O 0.2665 0.4589 0.7504
Fe 0.1483 0.7522 0.2612
O 0.7669 0.7496 0.9589

=====

(5)
Material: FeOF
Method: DFT, PBEsol
State: relaxed

## Properties
Raw formation energy (meV per atom): -1557

Lattice parameters (Å, degrees): 2.8388 4.5092 4.3362 90.00 90.00 90.00
Positions (direct):
F 0.0000 0.0690 0.2804
F 0.5000 0.9310 0.7804
Fe 0.5000 0.2902 0.5031
O 0.0000 0.4293 0.7165
Fe 0.0000 0.7098 0.0031
O 0.5000 0.5707 0.2165

=====

(6)
Material: FeOF3
Method: DFT, PBEsol
State: relaxed

## Properties
Raw formation energy (meV per atom): -953

Lattice parameters (Å, degrees): 3.8866 3.8866 3.8866 90.00 90.00 90.00
Positions (direct):
F 0.5000 0.0000 0.0000
F 0.0000 0.5000 0.0000
O 0.5000 0.5000 0.5000
F 0.0000 0.0000 0.5000
Fe 0.0000 0.0000 0.0000

=====

(7)
Material: FeOF
Method: DFT, PBEsol
State: relaxed
>>>
Activity:
Duplicate the lines further up up to the one that holds "0.2746 0.2496", that line included.
Written answer:
(1)
Material: Fe6OF11
Method: DFT, PBEsol
State: relaxed

## Properties
Excess energy over the best structure of this formula in the dataset (kJ/mol of formula units): 95
Raw formation energy (meV per atom): -1741

Lattice parameters (Å, degrees): 5.6381 5.6381 7.3540 70.56 70.56 74.54
Positions (direct):
Fe 0.0045 0.0045 0.4885
Fe 0.3323 0.3323 0.1779
F 0.5789 0.5789 0.6547
F 0.0241 0.6373 0.6817
F 0.7135 0.3167 0.9890
Fe 0.6332 0.6332 0.3545
F 0.6373 0.0241 0.6817
F 0.1002 0.1002 0.6937
F 0.8870 0.8870 0.3027
Fe 0.6733 0.6733 0.8402
Fe 0.3509 0.3509 0.6470
F 0.7671 0.7671 0.0297
F 0.3688 0.9483 0.3222
F 0.3167 0.7135 0.9890
Fe 0.0036 0.0036 0.9974
F 0.9483 0.3688 0.3222
O 0.4164 0.4164 0.3681
F 0.2439 0.2439 0.9598

=====

(2)
Material: Fe4OF7
Method: DFT, PBEsol
State: relaxed

## Properties
Excess energy over the best structure of this formula in the dataset (kJ/mol of formula units): 1
Raw formation energy (meV per atom): -1793

Lattice parameters (Å, degrees): 4.8447 5.7004 10.0742 92.66 90.00 90.00
Positions (direct):
Fe 0.2290 0.7329 0.7668
F 0.0371 0.2912 0.4252
F 0.5351 0.9624 0.8199
F 0.9457 0.0264 0.1785
F 0.0466 0.5140 0.1739
F 0.5533 0.7303 0.0828
Fe 0.2458 0.2314 0.2503
F 0.4649 0.9624 0.3199
Fe 0.2501 0.5350 0.9913
F 0.4467 0.7303 0.5828
O 0.0358 0.7899 0.9299
Fe 0.7499 0.5350 0.4913
F 0.4706 0.4555 0.8210
F 0.4526 0.2297 0.0696
Fe 0.7710 0.7329 0.2668
Fe 0.7626 0.0015 0.9909
F 0.0543 0.0264 0.6785
F 0.9629 0.2912 0.9252
O 0.9642 0.7899 0.4299
F 0.5294 0.4555 0.3210
Fe 0.7542 0.2314 0.7503
F 0.9534 0.5140 0.6739
Fe 0.2374 0.0015 0.4909
F 0.5474 0.2297 0.5696

=====

(3)
Material: Fe4OF7
Method: DFT, PBEsol
State: relaxed

## Properties
Excess energy over the best structure of this formula in the dataset (kJ/mol of formula units): 160
Raw formation energy (meV per atom): -1655

Lattice parameters (Å, degrees): 7.5871 5.7847 7.7328 90.00 119.38 90.00
Positions (direct):
F 0.1349 0.9189 0.9033
F 0.6768 0.4282 0.3536
Fe 0.5896 0.1546 0.1792
Fe 0.1909 0.2303 0.8642
Fe 0.1903 0.0799 0.3806
O 0.4619 0.3221 0.9238
F 0.2316 0.4189 0.0967
Fe 0.3268 0.7303 0.1358
F 0.8931 0.0372 0.2974
F 0.1069 0.5372 0.7026
F 0.7584 0.8652 0.5168
F 0.3232 0.9282 0.6464
Fe 0.4104 0.6546 0.8208
F 0.8651 0.4189 0.0967
F 0.1186 0.7771 0.2372
Fe 0.6732 0.2303 0.8642
F 0.4044 0.0372 0.2974
Fe 0.8097 0.5799 0.6194
F 0.8814 0.2771 0.7628
F 0.5956 0.5372 0.7026
F 0.2416 0.3652 0.4832
Fe 0.8091 0.7303 0.1358
O 0.5381 0.8221 0.0762
F 0.7684 0.9189 0.9033

=====

(4)
Material: FeOF
Method: DFT, PBEsol
State: relaxed

## Properties
Raw formation energy (meV per atom): -1545

Lattice parameters (Å, degrees): 5.7348 7.1147 7.1147 80.65 66.23 66.23
Positions (direct):
F 0.7751 0.4465 0.7496
F 0.7784 0.2504 0.4465
F 0.9716 0.2496 0.0535
Fe 0.0994 0.7388 0.7522
O 0.2746 0.2496 0.4589